Tuesday, January 28, 2014

Hi baby

Henry is pulling out his Chilean roots. Or, at least his Tío Rodrigo, who's favorite saying is "OK baby." Over the past few days, Henry has been putting a "baby" behind a lot of his words. Last night for our 5 minute drive home from the dining hall, he said "home baby" the whole way. He also likes to grab his phone and say "hi baby" over and over.

I thought the days of calling girls on the phone and having to listen to him use pet names would be many years down the road. If I hear him say shmoopy I might not be able to handle it!

Sunday, January 26, 2014

I have to look my best

We were riding in the car. Henry was being so good and quiet in the back seat...until we realized he had gotten into mommy's makeup bag and we took her mascara away from him!

We were on our way to dinner, so I guess Henry just wanted to make sure he looked his best.

Tuesday, January 21, 2014

Can't juggle, gotta poop

We somehow got on the conversation of juggling. Annie asked if I knew how to juggle, so I grabbed a few clementines and juggled for her. Henry saw me juggle and then mimicked the movements with his hands, or at least tried to. He looked more like one of those people waiving their arms and hands all over the place dancing to techno music. We tried to get video of it, but Henry had some other pressing need to take care of!

Monday, January 20, 2014

I got to have something fruity

During the day I am constantly talking, singing (along to pandora), playing, or horsing around with the kids. I do this for multiple reasons: I am constantly interacting with them so it helps their overall development, they are hearing constant language so their verbal development will be strong, it's fun and goofy so they know our house is a house of fun. Annie got a glimpse into the craziness by secretly recording Henry and me. It's embarrassing, but it's what it takes to be a constantly involved and interactive stay at home parent. That, or it's just what I tell myself to explain my own weirdness...

Evelyn is the funniest person in the world

In an attempt to control Evelyn's spitting up, we decided to try some baby cereal. She could not get enough of it! And, Henry could not get enough of her!

As far as whether or not it helped with stopping her spitting up so much...results were inconclusive...

Friday, January 17, 2014

Holding on for dear life!

Evelyn held on, literally, as long as she could before falling asleep. It makes me wonder how tired I would have to be to fall asleep like that. The next night she fell asleep in the middle of the Calvin vs Hope basketball game. I would have to be half dead to fall asleep in that crazy loud place!

Thursday, January 16, 2014


Henry has started the accusation stage - I'm not really sure if that's an actual stage, but whatever it is, he's in it.  He literally accuses everything of giving him a booboo. It all started when reading a book with Annie. There was a girl in the book. Henry leaned into the book and very softly touches his head to the girl. He then said, "booboo, niña" and pointed to the girl in the book. After that everything was giving him a booboo: the trash can, Evelyn, the wall, the stairs, a piece of tape, his food, pillows, blankets. The list goes on and on. He does not get over the booboo until we point at what gave him the booboo and say, "don't give Henry a booboo. Say lo siento and give him un beso." Then Henry gives it a kiss and goes on with the rest of his day!


Henry practicing his Español números!

Football moves

Henry has some pretty sweet football moves. His spin move rivals Barry Sanders! His touchdown dance is pretty sweet too. It looks like he was blessed with his daddy's dance moves!

The best part of his new found football moves is that he will randomly, throughout the day, say "spin move" and spin!

Wednesday, January 15, 2014

You want a piece of me?!

Henry has gotten used to saying the word "piece" when he wants something to eat. For example, this morning he had a banana as part of his breakfast. He held it up and said, "piece."  Then he ate it. Later in the day he was saying piece about something. I wasn't sure what it was so I just said, "you want a piece of me?" He proceeded to pinch me with his fingers then pretend to feed me what he had just pinched off!

Tuesday, January 14, 2014

I need some makeup

Today, I told Henry we need to get ready to go eat lunch with Mommy. Apparently, he thought he needed some of mommy's makeup before heading out to lunch...we were a little late to our lunch date.

Pull ups

After seeing me do a pull up on our pull up bar, Henry became focused on doing pull ups. He kept asking over and over again to be lifted up to do them. He has a little help from me, but he was actually pulling himself a little bit. Hopefully it's the start to a long, healthy life of working out!

Sunday, January 12, 2014

Another red letter day

It was a milestone day for both kids today! 

Henry said his Spanish numbers 1-10! He was copying me, but I still think that deserved a big hug and kiss! He even held up some of the numbers on his fingers. 

Evelyn rolled over from her back to her stomach! She's going to be chasing Henry around in no time!

To take a line from James Stewart: It's another red letter day for the Mas-Smiths!


Event of the day: Annie took a drink of Gatorade before her run. Her face contorted and grimaced at the taste of it. I asked, "what's wrong?"  She replied, "Henry put popcorn in it!"

I'm guessing Gatorade is never going to come out with a popcorn flavor...

Monday, January 6, 2014

First day back

Well, today was the first day back to the old routine. Annie was on Christmas and New Years break for  the past week and a half or so and had to go back to work today, until 2:00, when Calvin College shut down due to the weather. I was able to get right back into the swing of things as being a stay at home dad. And, Henry and Evelyn didn't disappoint by making some lasting memories!

Henry started the day off by bringing Evelyn's new build-a-bear doll (thanks Grandma and Grandpa Smith) into the bathroom and setting it on his potty.

He kept wanting to go back into the bathroom and play with his potty, the bear, and other things that a toddler should not be playing with, so I took the bear out and distracted him with some other toys.

I got into doing dishes and cleaning up some other messes when I realized Henry wasn't within eyesight, and it was pretty quite. Then I heard a noise coming from the bathroom. I went in and found this...
When you got to go, you got to go. And, it always helps having someone go with you!

After I stopped laughing, I decided to read Henry and Evelyn a book: Skippyjon Jones - thanks Jason and Casey Gordon - I still don't know who likes the book more, Henry or me!

I sat down on the floor and put Evelyn on the floor in front of me, between my legs, so she could see the book. Henry was standing up and walking around while I was reading. Suddenly he wedged himself in between my leg and Evelyn and put his arm around her.
This lasted for about a page. Then Henry moved his arm out from behind her and would get upset anytime her arm touched his.

### Records of molecules that have nothing to do with the page
Entry 1:
The following is a quantum chemistry calculation of a molecular structure, C39H87O33P6Zr in a non-equilibrium geometry, from the OMol25 dataset.

Atoms and positions in Å:
H 4.492 -1.385 2.701
O 0.486 0.236 5.314
H 2.756 5.153 0.757
C -0.076 -4.127 -5.832
C 0.141 -3.420 -3.770
C -5.541 0.028 0.019
H -0.941 -3.930 6.413
H 1.771 -2.551 -4.737
H -1.323 -4.646 3.567
C -4.467 -4.532 -1.304
H 1.694 6.517 2.165
H 3.843 -2.872 -1.110
H 3.090 0.410 -3.391
H 5.836 -0.832 -2.993
H 0.705 7.073 0.771
O -2.000 -3.732 1.254
C 3.605 3.726 -2.684
C -2.888 -0.137 -3.776
C -3.263 -1.449 -4.548
H -3.983 -5.119 -2.085
H -0.683 -3.023 -3.177
H -5.067 2.040 -3.902
H 3.105 4.038 4.371
Zr -0.455 0.350 0.374
H 3.903 4.488 -1.964
H -7.463 0.847 -0.460
C -0.712 -5.044 2.757
C 4.197 1.374 1.003
H 3.496 4.392 -3.540
H 2.276 -0.118 6.339
H 1.321 0.913 8.332
H -0.225 -2.971 2.147
H -1.955 7.729 -2.664
C -7.022 0.399 0.430
O 1.811 -1.994 -1.933
C 4.090 -2.148 3.367
C -1.326 -2.073 5.391
O 1.186 3.874 -2.224
H 3.524 0.517 0.988
C 0.968 6.226 1.405
H -4.340 3.567 -3.999
H -1.874 -0.364 -3.447
H -2.311 4.305 -4.600
C 4.840 -0.891 -3.430
H -7.062 1.141 1.227
C 2.526 -2.192 3.293
H 4.497 3.163 -2.960
O -2.549 1.029 -0.647
H -2.751 -2.335 -4.172
H -2.066 -2.525 4.731
H -6.840 4.033 -3.164
P 0.990 -1.175 -1.078
O -3.612 -2.329 2.639
C -6.100 3.518 -2.552
H -0.264 5.834 -3.116
C -1.243 -2.899 6.598
O 0.716 -1.389 0.432
H -5.028 0.059 0.980
C 0.789 0.995 7.384
O 5.647 -3.653 -0.657
O -0.326 2.499 -0.514
O -5.093 1.089 -0.809
H 4.776 3.065 5.980
C 1.192 -0.089 6.456
O -0.127 -2.192 4.597
O 4.916 -5.108 0.767
O 0.175 -2.815 -5.964
O 2.654 2.290 3.366
H -2.262 -3.099 6.930
C 5.980 -4.701 0.100
H 4.242 -1.676 -2.969
O -0.176 -0.208 2.701
H -6.490 2.656 -2.010
H 2.175 -2.355 2.274
H -5.773 4.174 -1.745
H 0.124 4.042 -4.378
O -3.845 0.008 -2.722
C -4.847 2.914 -3.288
H 3.222 2.254 6.057
C 0.684 -2.476 -4.699
H -2.968 -1.505 -5.596
P 2.097 2.548 1.856
O 4.729 -0.658 -6.816
H 0.263 -5.456 3.013
H -2.947 0.694 -4.480
C 4.370 -3.208 -0.217
H 0.094 5.914 1.978
C -0.490 3.142 -4.366
P -0.293 3.313 -1.833
H -1.283 -5.926 2.466
H 2.182 -3.073 3.835
O 7.055 -5.269 0.066
C 4.621 -0.498 -5.641
H -5.275 -2.755 4.683
O 3.356 2.542 0.929
H -4.307 -5.079 -0.375
C 3.503 3.046 4.158
H 0.342 -1.462 -4.494
H 0.966 -1.106 6.778
P -3.645 1.163 -1.605
H 3.187 -4.552 1.146
H -2.808 6.243 -3.208
H -1.682 3.663 -6.126
O -0.663 2.518 -3.145
C -4.192 -3.508 3.001
H 4.500 -2.433 0.539
H 0.774 -3.747 -2.945
O -0.522 -0.865 -1.253
H 4.469 -1.801 4.328
C 3.824 -4.523 0.261
C -0.679 -3.870 1.730
O 4.918 -1.454 -4.734
H -2.405 2.539 -4.948
P -2.801 -2.331 1.167
C -1.819 3.451 -5.066
H 4.415 -3.153 3.096
H -2.741 6.680 -1.537
C -3.613 -3.278 -1.117
O -1.327 4.502 -1.878
C -5.461 -3.192 3.702
O -3.706 2.610 -2.440
H 2.012 2.189 -3.017
H -6.061 -2.570 3.037
C -0.927 5.792 -2.252
H 0.054 -4.232 1.008
H -5.518 -0.899 -0.553
C -2.152 6.678 -2.454
H -0.192 6.219 -1.570
H 0.030 2.397 -4.968
H 4.680 1.241 1.971

Overall, it was a successful first half a day back as a stay at home dad!